[Entries]
'''
Here is an optimized crystal structure of Rb2HgBi2Pb from OQMD. Energies are from GGA-PBE.

abc: 4.7983 4.7983 12.9375
angles: 90.00 90.00 120.00
Fractional positions:
Bi (0.3333, 0.6667, 0.2151)
Bi (0.6667, 0.3333, 0.6851)
Hg (0.0000, 0.0000, 0.2619)
Pb (0.0000, 0.0000, 0.7976)
Rb (0.6667, 0.3333, 0.0092)
Rb (0.3333, 0.6667, 0.5001)

Computed properties:
Total DFT energy (no corrections), eV per cell: -15.33
Crystal system: trigonal

* * * * *

## P
NaS5 | GGA-PBE | relaxed

Lattice parameters (Å, degrees): 6.3060 6.1592 12.6786 90.00 90.00 135.89
Closest atoms and distances in Å follow each position.
Fractional coordinates of all 12 atoms:
S (0.8409, 0.3070, 0.2500)  2 S 2.10
S (0.1560, 0.1531, 0.3969)  1 S 2.01
S (0.8440, 0.8469, 0.6031)  1 S 2.01
S (0.1560, 0.1531, 0.1031)  1 S 2.01
S (0.8440, 0.8469, 0.8969)  1 S 2.01
S (0.8675, 0.5411, 0.8778)  2 S 2.01-2.10
S (0.1325, 0.4589, 0.3778)  2 S 2.01-2.10
S (0.1325, 0.4589, 0.1222)  2 S 2.01-2.10
S (0.8675, 0.5411, 0.6222)  2 S 2.01-2.10
S (0.1591, 0.6930, 0.7500)  2 S 2.10
Na (0.3224, 0.3307, 0.7500)  8 S 2.92-3.27
Na (0.6776, 0.6693, 0.2500)  8 S 2.92-3.27

## Properties
- Density of states at the Fermi level: 2.82 states/eV/f.u.
- SG: P2_1/m (11)
- Total moment: 0.00 μB per formula unit

=====

## Q
NaS5 | GGA-PBE | relaxed

Lattice parameters (Å, degrees): 3.5640 3.3726 13.2367 97.32 90.00 90.00
Closest atoms and distances in Å follow each position.
Fractional coordinates of all 6 atoms:
S (0.5000, 0.5000, 0.0000)  4 Na 2.45
S (0.0000, 0.3338, 0.6676)  4 S 2.45
S (0.0000, 0.6662, 0.3324)  4 S 2.45
S (0.5000, 0.8372, 0.6744)  4 S 2.45
S (0.5000, 0.1628, 0.3256)  4 S 2.45
Na (0.0000, 0.0000, 0.0000)  4 S 2.45

## Properties
- Density of states at the Fermi level: 6.98 states/eV/f.u.
- SG: Cmmm (65)
- Total moment: 0.79 μB per formula unit

=====

Preferred: P; penalty for the next structure: 0.581 eV/atom.

* * * * *

1.
Below is crystalline Mn2AuO at its relaxed geometry, with properties calculated at the PBE with a Hubbard U level.

Lattice parameters (Å, degrees): 6.242 6.242 7.098 90.00 90.00 90.00
Space group I-42d (No. 122)
One atom of each set of equivalent atoms:
Mn 0.163 0.250 0.125
Au 0.000 0.000 0.500
O 0.000 0.000 0.000

## Properties
Uncorrected energy (eV per atom): -6.424

***

2.
Below is crystalline MnAu2O2 at its relaxed geometry, with properties calculated at the PBE with a Hubbard U level.

Lattice parameters (Å, degrees): 6.883 6.883 3.141 90.00 90.00 90.00
Space group P4/mbm (No. 127)
One atom of each set of equivalent atoms:
Mn 0.000 0.000 0.000
Au 0.134 0.366 0.000
O 0.193 0.693 0.500

## Properties
Excess energy over the best structure of this formula in the dataset (meV/atom): 68
Uncorrected energy (eV per atom): -4.462

***

3.
Below is crystalline MnAu2O2 at its relaxed geometry, with properties calculated at the PBE with a Hubbard U level.

Lattice parameters (Å, degrees): 3.711 3.711 10.790 90.00 90.00 90.00
Space group I4/mmm (No. 139)
One atom of each set of equivalent atoms:
Mn 0.000 0.000 0.000
Au 0.000 0.000 0.377
O 0.000 0.500 0.250

## Properties
Excess energy over the best structure of this formula in the dataset (meV/atom): 0
Uncorrected energy (eV per atom): -4.530

***

4.
Below is crystalline Mn3AuO at its relaxed geometry, with properties calculated at the PBE with a Hubbard U level.

Lattice parameters (Å, degrees): 5.071 5.071 5.071 90.00 90.00 90.00
Space group Pm-3m (No. 221)
One atom of each set of equivalent atoms:
Mn 0.000 0.000 0.500
Au 0.000 0.000 0.000
O 0.500 0.500 0.500

## Properties
Uncorrected energy (eV per atom): -5.283

***

5.
Below is crystalline Mn2AuO4 at its relaxed geometry, with properties calculated at the PBE with a Hubbard U level.

Lattice parameters (Å, degrees): 4.109 4.109 11.006 90.00 90.00 90.00
Space group I4/mmm (No. 139)
One atom of each set of equivalent atoms:
Mn 0.000 0.000 0.141
Au 0.000 0.000 0.500
O 0.000 0.000 0.317
O 0.000 0.500 0.000

## Properties
'''
[Request]
Return all of the listing above unchanged.
[Response]
Here is an optimized crystal structure of Rb2HgBi2Pb from OQMD. Energies are from GGA-PBE.

abc: 4.7983 4.7983 12.9375
angles: 90.00 90.00 120.00
Fractional positions:
Bi (0.3333, 0.6667, 0.2151)
Bi (0.6667, 0.3333, 0.6851)
Hg (0.0000, 0.0000, 0.2619)
Pb (0.0000, 0.0000, 0.7976)
Rb (0.6667, 0.3333, 0.0092)
Rb (0.3333, 0.6667, 0.5001)

Computed properties:
Total DFT energy (no corrections), eV per cell: -15.33
Crystal system: trigonal

* * * * *

## P
NaS5 | GGA-PBE | relaxed

Lattice parameters (Å, degrees): 6.3060 6.1592 12.6786 90.00 90.00 135.89
Closest atoms and distances in Å follow each position.
Fractional coordinates of all 12 atoms:
S (0.8409, 0.3070, 0.2500)  2 S 2.10
S (0.1560, 0.1531, 0.3969)  1 S 2.01
S (0.8440, 0.8469, 0.6031)  1 S 2.01
S (0.1560, 0.1531, 0.1031)  1 S 2.01
S (0.8440, 0.8469, 0.8969)  1 S 2.01
S (0.8675, 0.5411, 0.8778)  2 S 2.01-2.10
S (0.1325, 0.4589, 0.3778)  2 S 2.01-2.10
S (0.1325, 0.4589, 0.1222)  2 S 2.01-2.10
S (0.8675, 0.5411, 0.6222)  2 S 2.01-2.10
S (0.1591, 0.6930, 0.7500)  2 S 2.10
Na (0.3224, 0.3307, 0.7500)  8 S 2.92-3.27
Na (0.6776, 0.6693, 0.2500)  8 S 2.92-3.27

## Properties
- Density of states at the Fermi level: 2.82 states/eV/f.u.
- SG: P2_1/m (11)
- Total moment: 0.00 μB per formula unit

=====

## Q
NaS5 | GGA-PBE | relaxed

Lattice parameters (Å, degrees): 3.5640 3.3726 13.2367 97.32 90.00 90.00
Closest atoms and distances in Å follow each position.
Fractional coordinates of all 6 atoms:
S (0.5000, 0.5000, 0.0000)  4 Na 2.45
S (0.0000, 0.3338, 0.6676)  4 S 2.45
S (0.0000, 0.6662, 0.3324)  4 S 2.45
S (0.5000, 0.8372, 0.6744)  4 S 2.45
S (0.5000, 0.1628, 0.3256)  4 S 2.45
Na (0.0000, 0.0000, 0.0000)  4 S 2.45

## Properties
- Density of states at the Fermi level: 6.98 states/eV/f.u.
- SG: Cmmm (65)
- Total moment: 0.79 μB per formula unit

=====

Preferred: P; penalty for the next structure: 0.581 eV/atom.

* * * * *

1.
Below is crystalline Mn2AuO at its relaxed geometry, with properties calculated at the PBE with a Hubbard U level.

Lattice parameters (Å, degrees): 6.242 6.242 7.098 90.00 90.00 90.00
Space group I-42d (No. 122)
One atom of each set of equivalent atoms:
Mn 0.163 0.250 0.125
Au 0.000 0.000 0.500
O 0.000 0.000 0.000

## Properties
Uncorrected energy (eV per atom): -6.424

***

2.
Below is crystalline MnAu2O2 at its relaxed geometry, with properties calculated at the PBE with a Hubbard U level.

Lattice parameters (Å, degrees): 6.883 6.883 3.141 90.00 90.00 90.00
Space group P4/mbm (No. 127)
One atom of each set of equivalent atoms:
Mn 0.000 0.000 0.000
Au 0.134 0.366 0.000
O 0.193 0.693 0.500

## Properties
Excess energy over the best structure of this formula in the dataset (meV/atom): 68
Uncorrected energy (eV per atom): -4.462

***

3.
Below is crystalline MnAu2O2 at its relaxed geometry, with properties calculated at the PBE with a Hubbard U level.

Lattice parameters (Å, degrees): 3.711 3.711 10.790 90.00 90.00 90.00
Space group I4/mmm (No. 139)
One atom of each set of equivalent atoms:
Mn 0.000 0.000 0.000
Au 0.000 0.000 0.377
O 0.000 0.500 0.250

## Properties
Excess energy over the best structure of this formula in the dataset (meV/atom): 0
Uncorrected energy (eV per atom): -4.530

***

4.
Below is crystalline Mn3AuO at its relaxed geometry, with properties calculated at the PBE with a Hubbard U level.

Lattice parameters (Å, degrees): 5.071 5.071 5.071 90.00 90.00 90.00
Space group Pm-3m (No. 221)
One atom of each set of equivalent atoms:
Mn 0.000 0.000 0.500
Au 0.000 0.000 0.000
O 0.500 0.500 0.500

## Properties
Uncorrected energy (eV per atom): -5.283

***

5.
Below is crystalline Mn2AuO4 at its relaxed geometry, with properties calculated at the PBE with a Hubbard U level.

Lattice parameters (Å, degrees): 4.109 4.109 11.006 90.00 90.00 90.00
Space group I4/mmm (No. 139)
One atom of each set of equivalent atoms:
Mn 0.000 0.000 0.141
Au 0.000 0.000 0.500
O 0.000 0.000 0.317
O 0.000 0.500 0.000

## Properties